The Grants Program Management Team (GPM) is the University’s post-award research administration unit within NDRAC. The GPM team is responsible for assisting the Notre Dame Research Community with Award processing, Award Management and Sponsor Communication. Some of those activities include but not limited to:

  • Facilitate and secure approval for pre-award spending/advance accounts
  • Establish award budget and accounts for grant expenditures
  • Communicate terms of award and requirements to research team
  • Conduct first grant meetings with faculty receiving first sponsored award at ND
  • Conduct “launch meetings” with research teams for complex projects to identify and coordinate complex project business needs
  • Serve as liaison for researchers with other central University business offices, such as Human Resources, Payroll, and Research and Sponsored Programs Accounting (RSPA).
  • Approve or forward to sponsor for approval, re-budget requests, no-cost extensions, or changes of scope or PI
  • Develop account projections/internal financial tools for PIs to monitor and plan for grant expenditures
  • Proactively monitor technical reporting compliance and escalate as necessary
  • Address questions about sponsor terms and requirements, allowability of charges, etc.
  • Provide proactive notification prior to account expiration

Notre Dame Systems

Internal systems used for award processing, purchasing, and payment, include:

What comes next are data records, not part of the text:
____________
No. 1
DFT (ωB97M-V with the def2-TZVPD basis set) results for a molecular structure, C41H44CrN5O4P in a non-equilibrium geometry.

```
! wB97M-V def2-TZVPD RIJCOSX def2/J DEFGRID3
* xyz 1 2
Cr -0.04 0.33 0.61
O 1.22 -3.34 1.26
C 0.34 -2.66 0.80
N 0.63 -1.45 0.10
C 1.63 -1.53 -0.85
O 1.99 -2.50 -1.45
C 2.31 -0.20 -1.01
C 3.61 -0.11 -1.45
C 4.29 1.08 -1.27
C 3.64 2.13 -0.64
C 2.32 1.97 -0.26
N 1.65 0.83 -0.47
C -1.11 -3.06 1.00
C -1.38 -4.36 1.39
C -2.70 -4.73 1.61
C -3.69 -3.77 1.48
C -3.32 -2.50 1.07
N -2.06 -2.16 0.79
H 4.07 -1.00 -1.88
H 5.32 1.17 -1.57
H 4.14 3.06 -0.43
H 1.79 2.76 0.25
H -0.55 -5.05 1.52
H -2.95 -5.74 1.90
H -4.73 -4.00 1.66
H -4.07 -1.72 0.92
C -2.41 -0.68 4.01
C -1.15 -0.37 3.27
O -1.27 -0.07 2.06
C 0.11 -0.36 3.94
C 0.22 -0.77 5.29
C 1.40 -0.63 5.97
C 2.52 -0.09 5.31
C 2.44 0.28 3.99
C 1.24 0.15 3.27
O 1.23 0.57 2.02
H -3.27 -0.52 3.36
H -2.51 -0.05 4.90
H -2.41 -1.73 4.33
H -0.64 -1.20 5.79
H 1.47 -0.94 7.01
H 3.45 0.03 5.84
H 3.30 0.68 3.46
N -1.80 -0.55 -4.63
C -0.87 -0.58 -3.63
N -1.19 -1.32 -2.62
C -2.41 -1.91 -3.00
C -3.17 -2.92 -2.42
C -4.34 -3.31 -3.03
C -4.77 -2.72 -4.23
C -4.00 -1.78 -4.88
C -2.82 -1.40 -4.25
H -1.72 -0.07 -5.51
H 0.06 -0.02 -3.72
H -2.81 -3.43 -1.54
H -4.94 -4.10 -2.59
H -5.71 -3.05 -4.68
H -4.30 -1.37 -5.84
C -3.70 4.18 0.66
C -2.95 2.86 0.83
C -2.96 2.58 2.34
C -3.66 1.72 0.08
P -1.12 2.81 0.32
C -0.40 4.09 1.40
C 0.31 3.66 2.52
C 0.83 4.58 3.43
C 0.64 5.94 3.22
C -0.07 6.37 2.11
C -0.58 5.46 1.20
C -0.96 3.44 -1.48
C -2.08 4.36 -1.96
C -0.99 2.18 -2.35
C 0.39 4.15 -1.70
H -4.63 4.11 1.23
H -3.97 4.41 -0.37
H -3.14 5.02 1.07
H -4.00 2.45 2.67
H -2.53 3.41 2.90
H -2.42 1.68 2.59
H -4.66 1.58 0.49
H -3.11 0.78 0.18
H -3.77 1.94 -0.98
H 0.46 2.61 2.69
H 1.38 4.23 4.29
H 1.04 6.66 3.92
H -0.22 7.43 1.94
H -1.12 5.82 0.34
H -3.04 3.86 -1.97
H -1.85 4.65 -2.99
H -2.16 5.28 -1.38
H -1.98 1.71 -2.35
H -0.27 1.45 -2.01
H -0.74 2.45 -3.39
H 0.66 4.85 -0.91
H 0.33 4.72 -2.63
H 1.21 3.43 -1.82
*
```

Summary:
**Expectation value of S²**: 0.78
**Energy above the lowest of the compared OMol25 structures with the same formula, charge and spin**: 162.8 kJ/mol
**HOMO-LUMO gap (spin up / spin down)**: 0.2445 / 0.2696 hartree
**DFT total energy**: -3549.18002 hartree


No. 2
DFT (ωB97M-V with the def2-TZVPD basis set) results for a molecular structure, C41H44IN3O5Os in a non-equilibrium geometry.

```
! wB97M-V def2-TZVPD RIJCOSX def2/J DEFGRID3
* xyz 2 1
Os 0.13 0.17 -0.02
C -1.38 -1.79 3.41
C -1.48 -1.06 2.10
C -1.53 0.33 2.02
C -1.33 1.22 3.21
C -1.87 0.95 0.77
C -2.20 2.42 0.74
C -2.15 0.15 -0.38
C -2.85 0.80 -1.54
C -1.86 -1.24 -0.32
C -2.07 -2.14 -1.51
C -1.51 -1.83 0.91
C -1.27 -3.31 0.98
H -2.14 -2.58 3.45
H -1.56 -1.13 4.26
H -0.41 -2.27 3.54
H -0.63 2.02 2.98
H -0.93 0.68 4.07
H -2.28 1.68 3.51
H -3.22 2.55 1.11
H -2.15 2.84 -0.26
H -1.55 3.00 1.39
H -2.29 1.63 -1.95
H -3.80 1.20 -1.17
H -3.08 0.10 -2.34
H -2.95 -2.78 -1.34
H -1.22 -2.80 -1.68
H -2.23 -1.60 -2.43
H -0.78 -3.68 0.09
H -2.23 -3.84 1.06
____________

Grants Program Management Processes and Guidelines

Please review Advance Fund Request/Pre-Award Spending for Grants Program Management Processes and Guidelines.

Meet the Team

  1. Dante Brinkley

    Grants Program Management Director

  2. Shannon M. Buchmann

    Grants Program Manager

  3. Raquel Cotuno

    Grants Program Manager

  4. Maria Harding

    Grants Program Manager

  5. Lori D. McDonald

    Senior Grants Program Manager

  6. Photo of Tanyalon Monroe is missing

    Tanyalon Monroe

    Grants Program Manager

  7. Jeff Pethick

    Senior Grant Financial Program Manager

  8. Liz Rulli

    Associate Vice President for Research

  9. Cortney Swift

    Senior Grants Program Manager

  10. Sunny Thompson

### Data records that have nothing to do with the page
********
No. 1
An isolated molecule of C5H12O2, computed with the ωB97M-V functional and the def2-TZVPD basis.

Geometry (Å):
C 2.288 0.169 1.407
C 0.841 0.525 1.081
C 0.380 0.057 -0.304
O 0.654 -1.316 -0.518
C -1.112 0.352 -0.515
C -1.679 -0.267 -1.796
O -1.786 -0.196 0.617
H 2.454 -0.906 1.290
H 2.997 0.690 0.752
H 2.525 0.441 2.442
H 0.173 0.077 1.824
H 0.690 1.611 1.149
H 0.945 0.588 -1.082
H 0.076 -1.805 0.084
H -1.233 1.450 -0.528
H -2.029 -1.284 -1.586
H -2.525 0.309 -2.186
H -0.924 -0.344 -2.580
H -2.735 -0.151 0.450

Output
Orbital gap (eV): 10.91
SMILES string: CC[C@@H](O)[C@@H](C)O
HOMO level (eV): -10.10
LUMO energy (eV): 0.807
E_tot (Eh): -348.181012
2S+1: 1

Atom charges from the Mulliken analysis, given in e for atoms 1 to 6: atom 1 (C): -1.21, atom 2 (C): -0.47, atom 3 (C): -0.22, atom 4 (O): -0.58, atom 5 (C): 0.27, atom 6 (C): -1.31

---

No. 2
C5H12O2 as an isolated structure at a distorted geometry, computed with the ωB97M-V functional and the def2-TZVPD basis.

Geometry (Å):
C 0.236 1.396 -2.733
C -0.589 0.750 -1.644
O -0.015 -0.476 -1.255
C -0.665 -0.831 1.234
C -0.314 -1.217 2.633
O 0.834 -0.413 2.766
C 1.037 -0.329 1.377
H 0.334 0.703 -3.573
H 1.238 1.643 -2.362
H -0.241 2.314 -3.081
H -1.597 0.516 -2.002
H -0.685 1.437 -0.788
H -1.310 0.052 1.143
H -1.230 -1.654 0.724
H -1.047 -1.007 3.399
H -0.028 -2.275 2.647
H 0.763 -0.256 -0.721
H 1.819 -1.045 1.027
H 1.459 0.694 1.207

Output
Orbital gap (eV): 10.51
HOMO level (eV): -9.58
LUMO energy (eV): 0.938
E_tot (Eh): -348.072845
2S+1: 1

Atom charges from the Mulliken analysis, given in e for atoms 1 to 6: atom 1 (C): -1.10, atom 2 (C): -0.19, atom 3 (O): -0.49, atom 4 (C): -0.27, atom 5 (C): -0.42, atom 6 (O): -0.41

---

No. 3
A 2-piece molecular cluster, C5H12O2 overall at a distorted geometry, computed with the ωB97M-V functional and the def2-TZVPD basis.

Geometry (Å):
O -1.810 0.362 0.061
C -0.720 -0.136 0.309
C -1.777 -2.206 1.479
C 0.244 2.172 0.028
C -0.539 -1.586 0.788
C 0.542 0.734 0.207
H -2.555 -2.473 0.744
H -2.187 -1.447 2.166
H -1.521 -3.107 2.062
H 1.061 2.798 0.426
H -0.652 2.325 0.652
H 0.018 2.502 -1.000
H 0.259 -1.626 1.556
H -0.192 -2.169 -0.087
H 0.999 0.638 1.211
H 1.287 0.390 -0.536
O 2.276 0.718 -3.123
H 2.947 1.379 -2.837
H 2.319 0.731 -4.106

Output
Orbital gap (eV): 10.12
SMILES string: CCC(=O)CC.O
HOMO level (eV): -9.44
LUMO energy (eV): 0.679
E_tot (Eh): -348.174987
2S+1: 1

Atom charges from the Mulliken analysis, given in e for atoms 1 to 6: atom 1 (O): -0.59, atom 2 (C): 0.46, atom 3 (C): -1.12, atom 4 (C): -1.17, atom 5 (C): -0.30, atom 6 (C): -0.23

---

No. 4
C5H12O2 as an isolated structure at a distorted geometry, computed with the ωB97M-V functional and the def2-TZVPD basis.

Geometry (Å):
C -1.247 -1.068 0.878
C -0.299 0.134 0.779
C 0.419 0.419 2.297
C -0.935 1.525 0.270
C 0.826 -0.012 -0.289
H -2.271 -0.812 1.240
H -1.449 -1.423 -0.270
H -1.024 -2.030 1.406
H -0.498 0.860 2.979
H 1.230 1.295 2.333
H 0.568 -0.531 2.782
H -0.998 1.302 -1.010
********

    Senior Grants Program Manager

  11. Katrina Wicks

    Grants Program Manager

Need More Information?

The article is interrupted by records of molecules
~~~
# 1
C30H41BrN8NdOS3 | ωB97M-V/def2-TZVPD

The geometry in XYZ format:
```
85
Properties=species:S:1:pos:R:3:forces:R:3:lowdin_charge:R:1
Nd -0.057 0.923 0.842 0.167 -0.232 -0.543 1.593
C 0.910 3.710 -2.066 0.031 -0.005 0.031 -0.157
C 2.105 2.888 -1.585 -0.078 -0.010 0.092 -0.203
N 1.718 1.528 -1.208 0.175 -0.044 -0.096 -0.179
C 2.870 0.654 -0.934 0.011 0.099 0.092 -0.199
C 3.521 1.017 0.396 -0.040 -0.010 0.018 -0.178
N 2.457 1.318 1.366 0.069 -0.060 0.041 -0.181
C 2.841 1.315 2.794 -0.007 0.052 -0.089 -0.200
C 3.401 2.655 3.269 0.004 0.003 0.001 -0.148
C 2.588 3.853 2.764 -0.090 -0.076 -0.043 -0.209
N 1.150 3.545 2.683 0.041 0.103 0.116 -0.112
C 0.353 4.674 2.193 0.013 -0.112 -0.034 -0.218
C 0.294 4.700 0.675 0.073 -0.042 0.016 -0.190
N -0.292 3.461 0.138 -0.251 0.123 0.050 -0.158
C -0.408 3.461 -1.340 0.127 0.037 0.099 -0.213
H 0.727 3.507 -3.123 0.001 -0.020 -0.010 0.125
H 1.175 4.766 -2.006 0.006 0.011 -0.055 0.116
H 2.574 3.370 -0.720 -0.025 -0.024 0.013 0.101
H 2.864 2.873 -2.373 0.075 0.036 -0.014 0.130
H 1.200 1.099 -1.972 -0.083 -0.015 -0.004 0.038
H 3.614 0.693 -1.736 -0.001 -0.030 -0.035 0.132
H 2.495 -0.368 -0.876 -0.035 -0.058 -0.050 0.072
H 4.207 1.863 0.286 0.035 0.015 0.010 0.124
H 4.107 0.170 0.751 0.006 -0.025 0.025 0.130
H 2.156 2.270 1.168 0.015 -0.001 0.018 0.033
H 3.559 0.513 2.959 0.005 -0.025 0.002 0.127
H 1.957 1.060 3.380 -0.050 -0.030 0.005 0.098
H 4.436 2.780 2.944 0.005 0.010 0.024 0.117
H 3.418 2.649 4.361 -0.002 -0.009 -0.005 0.120
H 2.926 4.136 1.762 -0.011 -0.015 -0.015 0.112
H 2.777 4.722 3.402 0.021 0.048 -0.005 0.126
H 0.821 3.291 3.608 -0.002 -0.032 0.003 0.080
H 0.748 5.633 2.543 -0.012 0.057 0.028 0.127
H -0.661 4.587 2.591 0.002 -0.007 0.013 0.084
H 1.301 4.810 0.272 -0.009 -0.002 -0.007 0.103
H -0.278 5.575 0.350 0.010 0.041 -0.015 0.137
H -1.249 3.424 0.489 -0.165 0.086 -0.001 0.081
H -1.120 4.226 -1.663 -0.069 -0.001 -0.022 0.129
H -0.824 2.494 -1.637 -0.019 -0.040 -0.009 0.083
Br -1.727 2.060 3.256 0.062 -0.145 0.035 0.860
C -2.293 0.349 3.934 0.014 0.152 0.004 -0.548
C -3.319 0.376 4.825 -0.066 -0.102 0.068 -0.121
C -3.762 -0.844 5.384 0.007 0.051 -0.010 -0.062
C -3.156 -2.010 5.024 0.010 -0.042 -0.003 -0.023
C -2.090 -2.026 4.089 0.004 -0.031 -0.007 -0.168
C -1.486 -3.250 3.705 -0.012 -0.009 0.028 -0.027
C -0.473 -3.263 2.795 0.054 -0.083 -0.060 -0.065
C -0.029 -2.048 2.221 0.097 0.124 0.017 -0.171
C -0.556 -0.813 2.535 -0.200 0.268 0.173 -0.300
C -1.614 -0.818 3.504 -0.048 -0.078 0.078 -0.274
H -3.787 1.310 5.105 0.012 -0.025 -0.004 0.103
H -4.576 -0.837 6.096 0.027 0.001 -0.023 0.112
H -3.482 -2.953 5.449 0.007 0.045 -0.019 0.119
H -1.844 -4.172 4.150 0.009 0.044 -0.017 0.118
H -0.013 -4.200 2.500 -0.012 0.048 0.009 0.113
H 0.781 -2.121 1.498 0.003 0.000 -0.036 0.035
C -4.693 -0.842 -1.827 0.017 -0.012 -0.006 -0.056
N -3.929 0.221 -1.200 0.015 0.035 -0.099 0.038
C -3.136 0.043 -0.139 -0.059 0.343 0.132 -0.668
N -3.223 -1.110 0.531 -0.025 -0.029 0.066 0.236
~~~
Back to the article

For more information on any of the budgeting and reporting services or to request one-on-one consultation for grants, please contact your designated Grants Program Manager or email Please also review Frequently Asked Questions about Award Management.